
Thursday 27 December 2012

Time Change... People Change...

I hated it when I first heard it from someone.... "Time change, People Change..." because I never believed in it.... I have always felt people change because of circumstances or may be with their own choices or may be because of the other people's behavior...  and never agreed on this line....

But after certain experiences I have realized it is somewhere true... Yes... people do change when time is changed... because in the meanwhile so many things happen which make them change...

But apart from that...
I hate it when people change... and you still hold the same feelings for them....
I hate it when people change... because they don't find you that interesting anymore...
I hate it when people change... because they find new people in their life...
I hate it when people change... because they grow in their life and gain that extra over confidence towards life about they can achieve anything....
I hate it when people change... because they misunderstand you in many situation and make their own assumptions...

So many reasons, so many situations.... but is it really required to change....???

I know change is the only thing which is inevitable... all those reasons which hurt others because of your stupid change in life... it feels bad ... really bad when people close to you change.... and you just don't understand the reason behind it... you feel miserable, lost, hurt, guilty,.... what not...??!!!

And you can't even blame them and you just end up blaming yourself.... what ..??? For no good reason..??? Because you have no clue what is happening... or what has happened..???

I really love the changes in life... though it is a change of place or a new hair style or new style of clothing or a new job or a new type of food or anything... but I don't like when.... "PEOPLE CHANGE..."

Friday 14 December 2012

Home is where the people you love are....

I still remember the day 30th June 2012 when I first arrived here... It was early morning, I woke up from the sleep and saw outside the window of my flight to London Heathrow and I see the beautiful, aligned, well architectural, green city which is known to be one of the best cities for shopping... (LOL.. this is the first thing I have Google it when I came to know I am flying to UK)... 

Weather supported that day and I was lucky to see Beautiful view of London City with clear sky and rainbow in it.... I can never forget that first view of London city from the flight.... one of my most beautiful memories...

After all the check out procedure I came out and felt the chilly weather of UK... It was suppose to be summer in UK but it just felt like Winter to me... I kept my huge luggage in car and started my journey from London Heathrow to Swindon... I was amused by the beauty of the nature around the Motorway... It felt like some dream come true... Whatever I had seen in movies and on television I was actually viewing all that... and within an hours time we reached Swindon... a small, quite, beautiful town... Every thing looked so unfamiliar to me... I was little afraid about how things are going to be here? But same time I was quite relaxed as I knew Snigdha is already here. She can help me in settling down quickly...

And there we crossed quite a few small, big, curvy, straight lanes and roads, up hills and down hills and finally I reached my destination... Old Town of Swindon...  I got out of the car and saw plenty of shops and bars around the street... It was lovely sunny morning.... Snigdha came out the white door and hugged me.. I was all blank... We some how managed to pull my luggage to our house at 1st floor... I really loved the house... nice and warm... I had already fallen in love with it... and the way snigdha had kept it... I loved it even more...

Withing few hours we unpacked my luggage and I was all set in this beautiful house in Old Town...It's almost been 6 months now and today it's my last day in this beautiful house.... Snigdha has already left but it's me all on my own struggling to get things sorted with leaving the apartment formalities... and moving to new house.....

But I look back at this house and see all the memories attached with it... and best thing is... I see all the good memories.... :-) What could be better than this...??!!! I am leaving a house with beautiful memories... 

I have always felt a kind of attachment with the places I have stayed in and this place is one of those places... I understand that I haven't spent considerable time in this apartment but whatever time I have spent here.. it had been great.... Though it's our small late night parties or Jammu's leaving do or my 30th B'day or Sniggy's b'day or may it sniggy's parents visit to UK, etc.... endless lovely events had happened in this place... and all those people and their sweet presence made this house feel like a HOME for Me and Snigdha...

I feel glad to leave this Home with such happiness and no negativity... I have always felt some kind of positive vibes in this house...It has always felt home to me and Snigdha... I wish my new house brings a better Positive feeling and better experiences in my life... :-)

Tuesday 11 December 2012

Change for life....

It's been quite a while and I haven't posted anything on my blog... I usually write to put my thoughts and its pretty strange that I am not writing anything.... that definitely means I am not thinking much and I am at ease... :-) good for me... My brain does need some rest... isn't it..??? or my heart does...?? not sure from where my thoughts come from....!!??

Today, it is going to be a month my bestie left for India. Initial days had been tough for me... all the crying, moaning about things I was unable to do without her, doing things alone, finding this big home empty without her... but slowly I got used to it... I definitely knew that I'm gonna be fine... but my silly heart didn't want to understand the fact...

**Materials data, kept here for reference**
=====
Entry from Alexandria: a relaxed structure of SeSBr2Cl (PBE-GGA).

POSCAR file:
```
SeSBr2Cl
1.0
5.384 0.000 0.000
0.000 5.384 0.000
0.000 0.000 5.082
S Se Br Cl
1 1 2 1
Cartesian
2.692 2.692 2.541
0.000 0.000 2.541
0.000 2.692 0.000
2.692 0.000 0.000
0.000 0.000 0.000
```

As for the symmetry: P4/mmm. The calculation puts the density of states at the Fermi level at 0.52 states/eV per atom. The mass density comes out at 3.45 g/cm3. The value obtained for the uncorrected formation energy is 1.03 eV per atom. As for the total energy: -1.5288 eV/atom.

* * * * *

Computed, not measured: Nb2AlAs after structural relaxation at the PBE-GGA level of DFT.

Calculated values
Crystal system   cubic
ΔE_f   -0.3 eV per formula unit
Density   7.1 g/cm³
Symmetry   Fm-3m, No. 225

Lattice parameters (Å, degrees): 4.576 4.576 4.576 60.00 60.00 60.00
Atoms (fractional coordinates):
1 Nb 0.750 0.750 0.750
2 Nb 0.250 0.250 0.250
3 Al 0.000 0.000 0.000
4 As 0.500 0.500 0.500

=====

Computed, not measured: Ca2Sn2Pd5Pt after structural relaxation at the PBE-GGA level of DFT.

Calculated values
Crystal system   tetragonal
ΔE_f   -5.2 eV per formula unit
Density   8.8 g/cm³
Symmetry   P4/mbm, No. 127

Lattice parameters (Å, degrees): 3.696 10.354 10.354 90.00 90.00 90.00
Atoms (fractional coordinates):
1 Ca 0.000 0.829 0.671
2 Ca 0.000 0.671 0.171
3 Ca 0.000 0.329 0.829
4 Ca 0.000 0.171 0.329
5 Sn 0.000 0.631 0.869
6 Sn 0.000 0.869 0.369
7 Sn 0.000 0.369 0.131
8 Sn 0.000 0.131 0.631
9 Pd 0.500 0.000 0.500
10 Pd 0.500 0.500 0.000
11 Pd 0.500 0.943 0.193
12 Pd 0.500 0.693 0.443
13 Pd 0.500 0.807 0.943
14 Pd 0.500 0.557 0.693
15 Pd 0.500 0.193 0.057
16 Pd 0.500 0.307 0.557
17 Pd 0.500 0.443 0.307
18 Pd 0.500 0.057 0.807
19 Pt 0.000 0.000 0.000
20 Pt 0.000 0.500 0.500

=====

Computed, not measured: Y2FeSI after structural relaxation at the PBE-GGA level of DFT.

Calculated values
Crystal system   tetragonal
Density   3.9 g/cm³
Symmetry   P4/mmm, No. 123
Formation energy without anion corrections   0.86 eV/atom

Lattice parameters (Å, degrees): 5.653 5.237 5.653 90.00 90.00 90.00
Atoms (fractional coordinates):
1 S 0.000 0.500 0.000
2 Y 0.500 0.000 0.000
3 Y 0.000 0.000 0.500
4 Fe 0.500 0.500 0.500
5 I 0.000 0.000 0.000

=====

Computed, not measured: Sr2SnGe after structural relaxation at the PBE-GGA level of DFT.

Calculated values
Crystal system   tetragonal
ΔE_f   -1.9 eV per formula unit
Density   5.1 g/cm³
Symmetry   P4/mmm, No. 123

Lattice parameters (Å, degrees): 4.678 5.071 5.071 90.00 90.00 90.00
Atoms (fractional coordinates):
1 Ge 0.500 0.000 0.000
2 Sr 0.000 0.000 0.500
3 Sr 0.000 0.500 0.000
4 Sn 0.500 0.500 0.500

=====

Computed, not measured: BeCuPdF2 after structural relaxation at the PBE-GGA level of DFT.

Calculated values
Crystal system   tetragonal
Density   4.8 g/cm³
Symmetry   P4/mmm, No. 123
Formation energy without anion corrections   -0.49 eV/atom

Lattice parameters (Å, degrees): 3.633 5.694 3.633 90.00 90.00 90.00
=====
**Here the article continues**

One thing I have learnt in life with loads of experiences.. good or bad, given by various people... again good or bad... that life doesn't stop because of anyone. Some people leave by choice and some by no choice.... and we feel devastated with the absence of those people... but we keep moving ahead in life. We learn to live life without those people who used to be such an important part of our life... 

Life keeps moving...  new people.... new situations... new places... and I feel change is for good... or else life would become so boring... :-) and I am glad that I have learnt to live with change... I would rather say it like this... "I have started enjoying change in my life...."

Life is full of surprises... so why not live all the moments... Current and which are yet to come.... !!! Past has gone... and things happened in past had a reason for it to happen.... Like it is said... and my strong believe in this saying... "Everything happens for a reason... and if it is not happening as per your wish or on time... wait... and you will have better things in your kitty... :-)" 

So here I am enjoying life to the fullest.... doing things I like to do, enjoying my freedom, my single hood, learning lessons of life, not worrying about future, loving each moment....and loving Myself.... :-)